+++
This entry pairs a crystal structure of Fe5Mo4 with its computed X-ray powder pattern. Radiation: Cu Kα, 1.54184 Å. Structure: a cell relaxed with GGA-PBE.

Largest 12 diffraction maxima, in order of rising 2θ, 10° ≤ 2θ ≤ 80°:
14.1 deg, 6.279 Å, I 6
28.4 deg, 3.140 Å, I 4
30.6 deg, 2.923 Å, I 1
36.8 deg, 2.441 Å, I 5
42.2 deg, 2.139 Å, I 100
43.2 deg, 2.093 Å, I 46
52.5 deg, 1.742 Å, I 1
59.7 deg, 1.548 Å, I 8
62.8 deg, 1.480 Å, I 14
64.0 deg, 1.455 Å, I 2
76.6 deg, 1.244 Å, I 16
78.6 deg, 1.217 Å, I 29

Structural model:
Cell: 6.467 6.467 6.467 Å, 93.28 93.28 152.31°
Atoms (fractional coordinates):
Fe (0.000, 0.000, 0.000)
Fe (0.335, 0.335, 0.670)
Fe (0.335, 0.665, 0.000)
Fe (0.665, 0.335, 0.000)
Fe (0.665, 0.665, 0.330)
Mo (0.000, 0.327, 0.327)
Mo (0.000, 0.673, 0.673)
Mo (0.327, 0.000, 0.327)
Mo (0.673, 0.000, 0.673)

This entry pairs a crystal structure of AlAsOs2 with its computed X-ray powder pattern. Radiation: Cu Kα, 1.54184 Å. Structure: a cell relaxed with GGA-PBE.

Largest 12 diffraction maxima, in order of rising 2θ, 10° ≤ 2θ ≤ 80°:
11.3 deg, 7.803 Å, I 100
33.8 deg, 2.652 Å, I 17
39.4 deg, 2.285 Å, I 92
45.5 deg, 1.994 Å, I 32
46.6 deg, 1.951 Å, I 13
47.0 deg, 1.932 Å, I 13
47.6 deg, 1.912 Å, I 20
66.3 deg, 1.410 Å, I 11
67.1 deg, 1.394 Å, I 17
67.5 deg, 1.387 Å, I 5
77.7 deg, 1.229 Å, I 7
79.9 deg, 1.200 Å, I 24

Structural model:
Cell: 2.820 2.820 7.803 Å, 90.00 90.00 90.00°
Atoms (fractional coordinates):
Al (0.000, 0.000, 0.000)
As (0.500, 0.500, 0.295)
Os (0.000, 0.000, 0.547)
Os (0.500, 0.500, 0.768)

This entry pairs a crystal structure of InPCl with its computed X-ray powder pattern. Radiation: Cu Kα, 1.54184 Å. Structure: a cell relaxed with GGA-PBE.

Largest 12 diffraction maxima, in order of rising 2θ, 10° ≤ 2θ ≤ 80°:
16.7 deg, 5.303 Å, I 26
18.1 deg, 4.892 Å, I 99
23.0 deg, 3.871 Å, I 96
26.0 deg, 3.421 Å, I 33
28.3 deg, 3.156 Å, I 78
30.9 deg, 2.897 Å, I 49
33.0 deg, 2.716 Å, I 33
36.7 deg, 2.447 Å, I 71
37.7 deg, 2.389 Å, I 100
44.5 deg, 2.036 Å, I 39
47.0 deg, 1.933 Å, I 58
50.1 deg, 1.822 Å, I 36

Structural model:
Cell: 8.169 8.169 8.169 Å, 45.44 45.44 45.44°
Atoms (fractional coordinates):
In (0.000, 0.000, 0.000)
In (0.198, 0.198, 0.198)
In (0.709, 0.709, 0.709)
P (0.397, 0.589, 0.817)
P (0.589, 0.817, 0.397)
P (0.817, 0.397, 0.589)
Cl (0.106, 0.771, 0.423)
Cl (0.423, 0.106, 0.771)
Cl (0.771, 0.423, 0.106)
+++
Return the part of the material further above that starts with the line with "66.3 deg," and stops after the one with "23.0 deg,", please.
66.3 deg, 1.410 Å, I 11
67.1 deg, 1.394 Å, I 17
67.5 deg, 1.387 Å, I 5
77.7 deg, 1.229 Å, I 7
79.9 deg, 1.200 Å, I 24

Structural model:
Cell: 2.820 2.820 7.803 Å, 90.00 90.00 90.00°
Atoms (fractional coordinates):
Al (0.000, 0.000, 0.000)
As (0.500, 0.500, 0.295)
Os (0.000, 0.000, 0.547)
Os (0.500, 0.500, 0.768)

This entry pairs a crystal structure of InPCl with its computed X-ray powder pattern. Radiation: Cu Kα, 1.54184 Å. Structure: a cell relaxed with GGA-PBE.

Largest 12 diffraction maxima, in order of rising 2θ, 10° ≤ 2θ ≤ 80°:
16.7 deg, 5.303 Å, I 26
18.1 deg, 4.892 Å, I 99
23.0 deg, 3.871 Å, I 96